┌──
Molecular formula: C5H5NO
Method: DFT, the ωB97M-V functional and the def2-TZVPD basis

Structure (XYZ):
```
12
Properties=species:S:1:pos:R:3:forces:R:3
C -0.402275 -0.307485 -1.763066 0.084 0.021 -0.021
C 0.278062 1.651943 0.323879 -0.427 0.612 -0.596
C 0.768252 -0.295467 1.749243 -0.235 -0.055 0.171
C 0.243042 0.315973 0.641430 0.252 -0.434 0.157
C -0.680304 -0.245837 -0.295841 0.030 0.269 0.058
N 0.742504 -0.908171 2.794576 0.156 0.203 -0.151
O 0.114867 2.679914 -0.196607 0.202 -0.692 0.441
H 1.579134 -1.362740 3.154693 -0.067 0.031 -0.115
H -1.639774 -0.556803 0.097442 0.030 0.025 -0.001
H -1.238131 -0.775060 -2.286077 0.042 0.029 0.033
H -0.265299 0.688150 -2.216861 -0.013 -0.029 0.021
H 0.499922 -0.884417 -2.002812 -0.054 0.020 0.002
```
Forces are in eV/Å.

Output
* M: 95.10 g/mol
* largest force on an atom: 0.955 eV/A
* E: -323.3491 a.u.
* LUMO (spin up / spin down): -0.0069 / -0.0051 Ha
* HOMO-LUMO gap (spin up / spin down): 0.23628 / 0.24158 Ha
* 2S+1: 1

***

Molecular formula: C3H3Br2O2
Method: DFT, the ωB97M-V functional and the def2-TZVPD basis

Structure (XYZ):
```
10
Properties=species:S:1:pos:R:3:forces:R:3
C 1.227062 -0.596641 0.507503 -0.414 -2.025 -0.202
C -0.488518 0.924702 -0.533376 0.267 -1.154 -3.610
C -0.273436 -0.394906 0.097139 -1.675 -0.850 0.451
O 1.689451 -1.705462 0.158719 0.332 1.138 0.392
O 1.654795 0.370105 1.132548 0.648 0.483 0.192
Br -1.470805 -0.384212 1.660187 -0.035 0.049 0.968
Br -1.042900 -1.901358 -0.908989 0.323 0.141 -0.638
H -1.436024 1.130390 -1.107448 0.911 -0.441 0.914
H -0.253206 1.595864 0.194792 0.224 2.224 1.942
H 0.393582 0.961519 -1.201075 -0.580 0.435 -0.409
```
Forces are in eV/Å.

Output
* M: 230.86 g/mol
* largest force on an atom: 3.800 eV/A
* E: -5414.6913 a.u.
* LUMO: 0.1207 Ha
* HOMO-LUMO gap: 0.30055 Ha
* net charge: -1
* 2S+1: 1

***

Molecular formula: C2H3OPS
Method: DFT, the ωB97M-V functional and the def2-TZVPD basis

Structure (XYZ):
```
8
Properties=species:S:1:pos:R:3:forces:R:3
C 0.236419 -0.772778 0.769474 -4.710 2.921 -2.740
C -1.300749 -0.000059 -0.330738 7.104 -2.127 1.397
O 1.217039 -0.736746 -0.138708 -0.038 -2.894 1.260
P 1.537235 0.677355 -0.757688 -0.694 2.143 -0.441
S -0.637489 0.962637 -1.509726 1.316 0.289 0.248
H -0.178304 -1.575607 1.355197 0.850 -0.864 -0.203
H -2.208922 0.117182 0.053870 -3.739 0.379 1.534
H 1.334771 1.328016 0.558318 -0.089 0.153 -1.055
```
Forces are in eV/Å.

Output
* M: 106.09 g/mol
* largest force on an atom: 7.546 eV/A
* E: -892.5928 a.u.
* LUMO (spin up / spin down): -0.0021 / -0.0178 Ha
* HOMO-LUMO gap (spin up / spin down): 0.31682 / 0.25201 Ha
* 2S+1: 1

***

Molecular formula: C17H19FN2O4S
Method: DFT, the ωB97M-V functional and the def2-TZVPD basis

Structure (XYZ):
```
44
Properties=species:S:1:pos:R:3:forces:R:3
C -3.678560 -2.451119 -0.654949 -0.181 -0.195 -0.005
O -2.760137 -1.386150 -0.666404 0.091 0.349 -0.004
C -3.078184 -0.237285 -0.009825 -0.005 0.192 0.082
C -4.248282 -0.035593 0.712006 0.014 -0.341 -0.141
C -4.475660 1.175398 1.345186 0.069 0.152 0.024
C -3.545742 2.193875 1.267585 -0.136 0.083 0.101
C -2.376703 1.994497 0.551164 -0.044 -0.146 -0.065
C -2.129592 0.795495 -0.092403 0.080 -0.191 -0.050
C -0.861950 0.569652 -0.862858 0.084 -0.062 -0.247
N -0.121036 -0.544835 -0.304951 -0.256 0.137 0.151
C 0.631376 -1.356533 -1.062711 -0.129 -0.320 0.283
O 0.845622 -1.173312 -2.245406 0.140 -0.034 -0.438
C 1.261422 -2.508481 -0.277474 -0.492 0.023 0.005
N 2.570806 -2.133707 0.214094 -0.090 0.780 0.679
C 3.693203 -2.315542 -0.673112 0.453 0.019 -0.226
S 2.610789 -0.909789 1.325654 0.439 -0.022 0.118
O 3.911783 -0.924519 1.923115 0.116 0.010 -0.247
O 1.455935 -1.089239 2.163020 -0.188 0.018 -0.139
C 2.430720 0.706846 0.537098 0.070 -0.572 0.342
C 1.653200 1.634060 1.208069 -0.033 0.048 0.043
C 1.531943 2.921864 0.716391 0.131 0.062 -0.146
C 2.197838 3.245561 -0.454286 0.028 -0.164 0.063
F 2.079704 4.492092 -0.945462 0.008 -0.094 0.028
C 2.980667 2.327882 -1.133533 -0.098 0.162 0.066
└──
Next, restate the listing above from the first line to the one with "0.483 0.192" without additions.
Molecular formula: C5H5NO
Method: DFT, the ωB97M-V functional and the def2-TZVPD basis

Structure (XYZ):
```
12
Properties=species:S:1:pos:R:3:forces:R:3
C -0.402275 -0.307485 -1.763066 0.084 0.021 -0.021
C 0.278062 1.651943 0.323879 -0.427 0.612 -0.596
C 0.768252 -0.295467 1.749243 -0.235 -0.055 0.171
C 0.243042 0.315973 0.641430 0.252 -0.434 0.157
C -0.680304 -0.245837 -0.295841 0.030 0.269 0.058
N 0.742504 -0.908171 2.794576 0.156 0.203 -0.151
O 0.114867 2.679914 -0.196607 0.202 -0.692 0.441
H 1.579134 -1.362740 3.154693 -0.067 0.031 -0.115
H -1.639774 -0.556803 0.097442 0.030 0.025 -0.001
H -1.238131 -0.775060 -2.286077 0.042 0.029 0.033
H -0.265299 0.688150 -2.216861 -0.013 -0.029 0.021
H 0.499922 -0.884417 -2.002812 -0.054 0.020 0.002
```
Forces are in eV/Å.

Output
* M: 95.10 g/mol
* largest force on an atom: 0.955 eV/A
* E: -323.3491 a.u.
* LUMO (spin up / spin down): -0.0069 / -0.0051 Ha
* HOMO-LUMO gap (spin up / spin down): 0.23628 / 0.24158 Ha
* 2S+1: 1

***

Molecular formula: C3H3Br2O2
Method: DFT, the ωB97M-V functional and the def2-TZVPD basis

Structure (XYZ):
```
10
Properties=species:S:1:pos:R:3:forces:R:3
C 1.227062 -0.596641 0.507503 -0.414 -2.025 -0.202
C -0.488518 0.924702 -0.533376 0.267 -1.154 -3.610
C -0.273436 -0.394906 0.097139 -1.675 -0.850 0.451
O 1.689451 -1.705462 0.158719 0.332 1.138 0.392
O 1.654795 0.370105 1.132548 0.648 0.483 0.192